**What to do:**
Type out the data below exactly.

**Source:**
'''
[1]
Tb2DyEr5In: simulated powder X-ray diffraction pattern (Cu Kα X-rays), based on a crystal structure in Alexandria, relaxed with GGA-PBE.
Neutral-atom scattering factors, no anomalous dispersion.

Atomic structure:
a = 10.402 Å, b = 10.402 Å, c = 10.388 Å
α = 90.00°, β = 90.00°, γ = 150.48°
Positions (direct):
Tb (0.116, 0.884, 0.539)
Tb (0.116, 0.884, 0.961)
Tb (0.884, 0.116, 0.039)
Tb (0.884, 0.116, 0.461)
Dy (0.208, 0.792, 0.250)
Dy (0.792, 0.208, 0.750)
Er (0.011, 0.989, 0.250)
Er (0.289, 0.711, 0.551)
Er (0.289, 0.711, 0.949)
Er (0.383, 0.617, 0.250)
Er (0.500, 0.500, 0.000)
Er (0.500, 0.500, 0.500)
Er (0.617, 0.383, 0.750)
Er (0.711, 0.289, 0.051)
Er (0.711, 0.289, 0.449)
Er (0.989, 0.011, 0.750)
In (0.404, 0.596, 0.750)
In (0.596, 0.404, 0.250)

Peak list (10 most intense, 2θ from 5° to 70°, in order of rising 2θ)
2theta  intensity
27.48  11
27.96  13
31.17  29
32.84  100
33.82  31
34.54  16
49.12  12
57.51  9
59.86  26
63.28  9

[2]
DyEr5TlIn2: simulated powder X-ray diffraction pattern (Cu Kα X-rays), based on a crystal structure in Alexandria, relaxed with GGA-PBE.
Neutral-atom scattering factors, no anomalous dispersion.

Atomic structure:
a = 9.340 Å, b = 9.340 Å, c = 9.340 Å
α = 126.13°, β = 126.13°, γ = 79.68°
Positions (direct):
Dy (0.250, 0.750, 0.500)
Dy (0.750, 0.250, 0.500)
Er (0.000, 0.000, 0.000)
Er (0.077, 0.577, 0.921)
Er (0.155, 0.077, 0.500)
Er (0.345, 0.845, 0.921)
Er (0.423, 0.345, 0.500)
Er (0.500, 0.500, 0.000)
Er (0.577, 0.655, 0.500)
Er (0.655, 0.155, 0.079)
Er (0.845, 0.923, 0.500)
Er (0.923, 0.423, 0.079)
Tl (0.250, 0.250, 0.000)
Tl (0.750, 0.750, 0.000)
In (0.111, 0.389, 0.500)
In (0.389, 0.889, 0.278)
In (0.611, 0.111, 0.722)
In (0.889, 0.611, 0.500)

Peak list (10 most intense, 2θ from 5° to 70°, in order of rising 2θ)
2theta  intensity
29.87  54
30.12  31
32.74  100
33.49  12
38.89  12
44.63  18
50.93  10
54.86  23
60.17  14
64.22  10

[3]
DyEr2Tm2In: simulated powder X-ray diffraction pattern (Cu Kα X-rays), based on a crystal structure in Alexandria, relaxed with GGA-PBE.
Neutral-atom scattering factors, no anomalous dispersion.

Atomic structure:
a = 6.603 Å, b = 9.850 Å, c = 5.294 Å
α = 90.00°, β = 90.00°, γ = 90.00°
Positions (direct):
Dy (0.000, 0.000, 0.000)
Dy (0.500, 0.500, 0.500)
Er (0.241, 0.338, 0.000)
Er (0.259, 0.838, 0.500)
Er (0.741, 0.162, 0.500)
Er (0.759, 0.662, 0.000)
Tm (0.245, 0.664, 0.000)
Tm (0.255, 0.164, 0.500)
Tm (0.745, 0.836, 0.500)
Tm (0.755, 0.336, 0.000)
In (0.000, 0.500, 0.500)
In (0.500, 0.000, 0.000)

Peak list (10 most intense, 2θ from 5° to 70°, in order of rising 2θ)
2theta  intensity
32.08  100
32.66  36
33.25  79
33.87  43
42.42  16
45.98  18
47.76  25
58.32  18
59.47  17
65.73  25

[4]
Dy2ErTm5In: simulated powder X-ray diffraction pattern (Cu Kα X-rays), based on a crystal structure in Alexandria, relaxed with GGA-PBE.
Neutral-atom scattering factors, no anomalous dispersion.

Atomic structure:
a = 10.435 Å, b = 10.435 Å, c = 10.267 Å
α = 90.00°, β = 90.00°, γ = 150.87°
Positions (direct):
Dy (0.116, 0.884, 0.536)
Dy (0.116, 0.884, 0.964)
Dy (0.884, 0.116, 0.036)
Dy (0.884, 0.116, 0.464)
Er (0.209, 0.791, 0.250)
Er (0.791, 0.209, 0.750)
Tm (0.009, 0.991, 0.250)
Tm (0.287, 0.713, 0.553)
Tm (0.287, 0.713, 0.947)
Tm (0.381, 0.619, 0.250)
Tm (0.500, 0.500, 0.000)
Tm (0.500, 0.500, 0.500)
Tm (0.619, 0.381, 0.750)
Tm (0.713, 0.287, 0.053)
Tm (0.713, 0.287, 0.447)
Tm (0.991, 0.009, 0.750)
In (0.403, 0.597, 0.750)
In (0.597, 0.403, 0.250)

Peak list (10 most intense, 2θ from 5° to 70°, in order of rising 2θ)
2theta  intensity
27.69  13
27.89  14
31.52  30
32.98  100
34.17  31
34.96  16
44.87  8
49.69  12
60.42  18
63.86  8

[5]
Dy5ErTmIn2: simulated powder X-ray diffraction pattern (Cu Kα X-rays), based on a crystal structure in Alexandria, relaxed with GGA-PBE.
Neutral-atom scattering factors, no anomalous dispersion.

Atomic structure:
a = 11.005 Å, b = 11.005 Å, c = 11.005 Å
α = 139.45°, β = 139.45°, γ = 58.69°
Positions (direct):
'''

**Outcome:**
[1]
Tb2DyEr5In: simulated powder X-ray diffraction pattern (Cu Kα X-rays), based on a crystal structure in Alexandria, relaxed with GGA-PBE.
Neutral-atom scattering factors, no anomalous dispersion.

Atomic structure:
a = 10.402 Å, b = 10.402 Å, c = 10.388 Å
α = 90.00°, β = 90.00°, γ = 150.48°
Positions (direct):
Tb (0.116, 0.884, 0.539)
Tb (0.116, 0.884, 0.961)
Tb (0.884, 0.116, 0.039)
Tb (0.884, 0.116, 0.461)
Dy (0.208, 0.792, 0.250)
Dy (0.792, 0.208, 0.750)
Er (0.011, 0.989, 0.250)
Er (0.289, 0.711, 0.551)
Er (0.289, 0.711, 0.949)
Er (0.383, 0.617, 0.250)
Er (0.500, 0.500, 0.000)
Er (0.500, 0.500, 0.500)
Er (0.617, 0.383, 0.750)
Er (0.711, 0.289, 0.051)
Er (0.711, 0.289, 0.449)
Er (0.989, 0.011, 0.750)
In (0.404, 0.596, 0.750)
In (0.596, 0.404, 0.250)

Peak list (10 most intense, 2θ from 5° to 70°, in order of rising 2θ)
2theta  intensity
27.48  11
27.96  13
31.17  29
32.84  100
33.82  31
34.54  16
49.12  12
57.51  9
59.86  26
63.28  9

[2]
DyEr5TlIn2: simulated powder X-ray diffraction pattern (Cu Kα X-rays), based on a crystal structure in Alexandria, relaxed with GGA-PBE.
Neutral-atom scattering factors, no anomalous dispersion.

Atomic structure:
a = 9.340 Å, b = 9.340 Å, c = 9.340 Å
α = 126.13°, β = 126.13°, γ = 79.68°
Positions (direct):
Dy (0.250, 0.750, 0.500)
Dy (0.750, 0.250, 0.500)
Er (0.000, 0.000, 0.000)
Er (0.077, 0.577, 0.921)
Er (0.155, 0.077, 0.500)
Er (0.345, 0.845, 0.921)
Er (0.423, 0.345, 0.500)
Er (0.500, 0.500, 0.000)
Er (0.577, 0.655, 0.500)
Er (0.655, 0.155, 0.079)
Er (0.845, 0.923, 0.500)
Er (0.923, 0.423, 0.079)
Tl (0.250, 0.250, 0.000)
Tl (0.750, 0.750, 0.000)
In (0.111, 0.389, 0.500)
In (0.389, 0.889, 0.278)
In (0.611, 0.111, 0.722)
In (0.889, 0.611, 0.500)

Peak list (10 most intense, 2θ from 5° to 70°, in order of rising 2θ)
2theta  intensity
29.87  54
30.12  31
32.74  100
33.49  12
38.89  12
44.63  18
50.93  10
54.86  23
60.17  14
64.22  10

[3]
DyEr2Tm2In: simulated powder X-ray diffraction pattern (Cu Kα X-rays), based on a crystal structure in Alexandria, relaxed with GGA-PBE.
Neutral-atom scattering factors, no anomalous dispersion.

Atomic structure:
a = 6.603 Å, b = 9.850 Å, c = 5.294 Å
α = 90.00°, β = 90.00°, γ = 90.00°
Positions (direct):
Dy (0.000, 0.000, 0.000)
Dy (0.500, 0.500, 0.500)
Er (0.241, 0.338, 0.000)
Er (0.259, 0.838, 0.500)
Er (0.741, 0.162, 0.500)
Er (0.759, 0.662, 0.000)
Tm (0.245, 0.664, 0.000)
Tm (0.255, 0.164, 0.500)
Tm (0.745, 0.836, 0.500)
Tm (0.755, 0.336, 0.000)
In (0.000, 0.500, 0.500)
In (0.500, 0.000, 0.000)

Peak list (10 most intense, 2θ from 5° to 70°, in order of rising 2θ)
2theta  intensity
32.08  100
32.66  36
33.25  79
33.87  43
42.42  16
45.98  18
47.76  25
58.32  18
59.47  17
65.73  25

[4]
Dy2ErTm5In: simulated powder X-ray diffraction pattern (Cu Kα X-rays), based on a crystal structure in Alexandria, relaxed with GGA-PBE.
Neutral-atom scattering factors, no anomalous dispersion.

Atomic structure:
a = 10.435 Å, b = 10.435 Å, c = 10.267 Å
α = 90.00°, β = 90.00°, γ = 150.87°
Positions (direct):
Dy (0.116, 0.884, 0.536)
Dy (0.116, 0.884, 0.964)
Dy (0.884, 0.116, 0.036)
Dy (0.884, 0.116, 0.464)
Er (0.209, 0.791, 0.250)
Er (0.791, 0.209, 0.750)
Tm (0.009, 0.991, 0.250)
Tm (0.287, 0.713, 0.553)
Tm (0.287, 0.713, 0.947)
Tm (0.381, 0.619, 0.250)
Tm (0.500, 0.500, 0.000)
Tm (0.500, 0.500, 0.500)
Tm (0.619, 0.381, 0.750)
Tm (0.713, 0.287, 0.053)
Tm (0.713, 0.287, 0.447)
Tm (0.991, 0.009, 0.750)
In (0.403, 0.597, 0.750)
In (0.597, 0.403, 0.250)

Peak list (10 most intense, 2θ from 5° to 70°, in order of rising 2θ)
2theta  intensity
27.69  13
27.89  14
31.52  30
32.98  100
34.17  31
34.96  16
44.87  8
49.69  12
60.42  18
63.86  8

[5]
Dy5ErTmIn2: simulated powder X-ray diffraction pattern (Cu Kα X-rays), based on a crystal structure in Alexandria, relaxed with GGA-PBE.
Neutral-atom scattering factors, no anomalous dispersion.

Atomic structure:
a = 11.005 Å, b = 11.005 Å, c = 11.005 Å
α = 139.45°, β = 139.45°, γ = 58.69°
Positions (direct):